- - -
The following is a quantum chemistry calculation of a molecular structure, C24H42N3O6SSbV in a non-equilibrium geometry, from the OMol25 dataset.

Its HOMO energy (alpha / beta) is -2.66 / -4.38 eV. Its total energy is -3138.00540 a.u. Its energy relative to the best compared isomer or geometry (same formula, charge and spin) is 47.4 kcal per mole. The spin multiplicity is 3. As for the net charge: -1. As for the expectation value of S²: 2.060.

Each line ends with the Löwdin charge.
Element x y z (Å)
V -0.72431 -2.15205 -0.35811  0.4079
O 1.27375 -7.45929 1.40786  0.0433
C 0.79282 -6.26005 0.94878  -0.2860
C -0.57342 -5.96561 0.98142  0.0632
C -1.01245 -4.74647 0.51549  -0.1421
N -0.15363 -3.82845 0.02688  -0.0544
C 1.17354 -4.07626 0.07073  -0.1428
C 1.68581 -5.27668 0.51251  0.0823
C 1.93555 -2.81648 -0.19190  -0.5725
O 3.15324 -2.79372 -0.32627  0.0497
O 1.15805 -1.78889 -0.17065  -0.2489
C -2.38858 -4.14647 0.64212  -0.5710
O -3.34431 -4.78218 1.07837  0.0375
O -2.38880 -2.90788 0.31796  -0.1245
H 0.53069 -7.99035 1.71976  0.0998
H -1.28608 -6.67014 1.38588  0.1245
H 2.75342 -5.42531 0.54652  0.1300
C -1.96446 -0.74199 2.94319  -0.0289
N -3.01811 -0.33069 2.04099  -0.1152
C -4.36844 -0.63869 2.44947  -0.0495
C -2.71399 -0.16186 0.72013  -0.4897
O -1.57767 -0.33577 0.27362  -0.1464
N -3.76095 0.26337 -0.08603  -0.1450
C -4.39498 1.53187 0.21506  -0.0589
C -3.54449 0.04776 -1.50278  -0.0593
H -2.21513 -1.69981 3.41005  0.0951
H -1.82131 0.01211 3.72566  0.0941
H -1.03055 -0.84479 2.38578  0.0676
H -4.35916 -1.52941 3.08134  0.0903
H -4.98057 -0.84276 1.57289  0.0978
H -4.81366 0.18491 3.01630  0.0825
H -4.40859 1.70625 1.28658  0.0770
H -5.42185 1.52115 -0.15698  0.0890
H -3.86014 2.36186 -0.26549  0.0858
H -3.17536 -0.97116 -1.64459  0.0269
H -2.81382 0.74796 -1.92376  0.0784
H -4.49724 0.16759 -2.01520  0.0906
S -0.89911 -2.19518 -2.43733  0.1131
C 0.99702 4.52146 -0.65706  -0.1227
C 0.08054 3.31113 -0.59943  -0.6801
C -0.74498 3.35142 0.68345  -0.1403
C -0.87003 3.37424 -1.78906  -0.1463
Sb 0.98589 1.15782 -0.69611  1.6920
C 2.35547 1.22973 -2.54184  -0.6901
C 1.42796 0.87605 -3.69752  -0.1497
C 3.06742 2.54700 -2.80557  -0.1284
C 3.38091 0.11810 -2.39515  -0.1272
C 2.36504 1.20174 1.15888  -0.6657
C 3.58908 0.32488 0.95734  -0.1239
C 2.83495 2.58222 1.59147  -0.1333
C 1.47159 0.58872 2.22938  -0.1526
H 0.40774 5.44169 -0.58329  0.0767
H 1.53688 4.55014 -1.59740  0.0505
H 1.71928 4.52718 0.15068  0.0479
H -1.41083 4.21995 0.68437  0.0778
H -0.10873 3.42121 1.56399  0.0560
H -1.35499 2.45221 0.77668  0.0490
H -1.45319 4.30044 -1.77146  0.0781
H -1.56000 2.53050 -1.77729  0.0447
H -0.31663 3.34558 -2.72508  0.0578
H 0.66524 1.63677 -3.86044  0.0569
H 0.92731 -0.07140 -3.49554  0.0264
H 1.99844 0.77145 -4.62266  0.0791
H 2.36613 3.32625 -3.09534  0.0534
H 3.77846 2.42520 -3.62834  0.0762
H 3.61804 2.88068 -1.92773  0.0674
H 2.91033 -0.81670 -2.10030  0.0645
H 4.13240 0.37369 -1.65571  0.0552
H 3.89402 -0.05375 -3.34449  0.0824
H 4.32617 0.83012 0.33610  0.0652
H 3.33655 -0.62746 0.50127  0.0440
H 4.05948 0.12008 1.92292  0.0829
H 3.39720 3.06026 0.79191  0.0660
H 3.49321 2.49343 2.46168  0.0785
H 2.00584 3.22627 1.87284  0.0492
H 1.21196 -0.42952 1.94223  0.0527
H 0.55441 1.16675 2.34784  0.0562
H 1.97873 0.54805 3.19749  0.0825

***

The following is a quantum chemistry calculation of 6 unconnected molecules or ions with the total composition C24H42N6 in a non-equilibrium geometry, from the OMol25 dataset.

Its HOMO energy (alpha / beta) is -12.96 / -12.96 eV. Its total energy is -1267.66088 a.u. Its energy relative to the best compared isomer or geometry (same formula, charge and spin) is 56.9 kcal per mole. The spin multiplicity is 2. As for the net charge: +1. As for the expectation value of S²: 0.759.

Each line ends with the Löwdin charge.
Element x y z (Å)
C 2.09822 4.08452 3.49928  -0.1057
C 0.81167 4.10012 4.36476  -0.1264
C -0.50819 3.88689 3.43204  -0.0935
C -0.90319 5.02971 2.66764  -0.0956
- - -

Give back the whole of the notes above word for word.

The following is a quantum chemistry calculation of a molecular structure, C24H42N3O6SSbV in a non-equilibrium geometry, from the OMol25 dataset.

Its HOMO energy (alpha / beta) is -2.66 / -4.38 eV. Its total energy is -3138.00540 a.u. Its energy relative to the best compared isomer or geometry (same formula, charge and spin) is 47.4 kcal per mole. The spin multiplicity is 3. As for the net charge: -1. As for the expectation value of S²: 2.060.

Each line ends with the Löwdin charge.
Element x y z (Å)
V -0.72431 -2.15205 -0.35811  0.4079
O 1.27375 -7.45929 1.40786  0.0433
C 0.79282 -6.26005 0.94878  -0.2860
C -0.57342 -5.96561 0.98142  0.0632
C -1.01245 -4.74647 0.51549  -0.1421
N -0.15363 -3.82845 0.02688  -0.0544
C 1.17354 -4.07626 0.07073  -0.1428
C 1.68581 -5.27668 0.51251  0.0823
C 1.93555 -2.81648 -0.19190  -0.5725
O 3.15324 -2.79372 -0.32627  0.0497
O 1.15805 -1.78889 -0.17065  -0.2489
C -2.38858 -4.14647 0.64212  -0.5710
O -3.34431 -4.78218 1.07837  0.0375
O -2.38880 -2.90788 0.31796  -0.1245
H 0.53069 -7.99035 1.71976  0.0998
H -1.28608 -6.67014 1.38588  0.1245
H 2.75342 -5.42531 0.54652  0.1300
C -1.96446 -0.74199 2.94319  -0.0289
N -3.01811 -0.33069 2.04099  -0.1152
C -4.36844 -0.63869 2.44947  -0.0495
C -2.71399 -0.16186 0.72013  -0.4897
O -1.57767 -0.33577 0.27362  -0.1464
N -3.76095 0.26337 -0.08603  -0.1450
C -4.39498 1.53187 0.21506  -0.0589
C -3.54449 0.04776 -1.50278  -0.0593
H -2.21513 -1.69981 3.41005  0.0951
H -1.82131 0.01211 3.72566  0.0941
H -1.03055 -0.84479 2.38578  0.0676
H -4.35916 -1.52941 3.08134  0.0903
H -4.98057 -0.84276 1.57289  0.0978
H -4.81366 0.18491 3.01630  0.0825
H -4.40859 1.70625 1.28658  0.0770
H -5.42185 1.52115 -0.15698  0.0890
H -3.86014 2.36186 -0.26549  0.0858
H -3.17536 -0.97116 -1.64459  0.0269
H -2.81382 0.74796 -1.92376  0.0784
H -4.49724 0.16759 -2.01520  0.0906
S -0.89911 -2.19518 -2.43733  0.1131
C 0.99702 4.52146 -0.65706  -0.1227
C 0.08054 3.31113 -0.59943  -0.6801
C -0.74498 3.35142 0.68345  -0.1403
C -0.87003 3.37424 -1.78906  -0.1463
Sb 0.98589 1.15782 -0.69611  1.6920
C 2.35547 1.22973 -2.54184  -0.6901
C 1.42796 0.87605 -3.69752  -0.1497
C 3.06742 2.54700 -2.80557  -0.1284
C 3.38091 0.11810 -2.39515  -0.1272
C 2.36504 1.20174 1.15888  -0.6657
C 3.58908 0.32488 0.95734  -0.1239
C 2.83495 2.58222 1.59147  -0.1333
C 1.47159 0.58872 2.22938  -0.1526
H 0.40774 5.44169 -0.58329  0.0767
H 1.53688 4.55014 -1.59740  0.0505
H 1.71928 4.52718 0.15068  0.0479
H -1.41083 4.21995 0.68437  0.0778
H -0.10873 3.42121 1.56399  0.0560
H -1.35499 2.45221 0.77668  0.0490
H -1.45319 4.30044 -1.77146  0.0781
H -1.56000 2.53050 -1.77729  0.0447
H -0.31663 3.34558 -2.72508  0.0578
H 0.66524 1.63677 -3.86044  0.0569
H 0.92731 -0.07140 -3.49554  0.0264
H 1.99844 0.77145 -4.62266  0.0791
H 2.36613 3.32625 -3.09534  0.0534
H 3.77846 2.42520 -3.62834  0.0762
H 3.61804 2.88068 -1.92773  0.0674
H 2.91033 -0.81670 -2.10030  0.0645
H 4.13240 0.37369 -1.65571  0.0552
H 3.89402 -0.05375 -3.34449  0.0824
H 4.32617 0.83012 0.33610  0.0652
H 3.33655 -0.62746 0.50127  0.0440
H 4.05948 0.12008 1.92292  0.0829
H 3.39720 3.06026 0.79191  0.0660
H 3.49321 2.49343 2.46168  0.0785
H 2.00584 3.22627 1.87284  0.0492
H 1.21196 -0.42952 1.94223  0.0527
H 0.55441 1.16675 2.34784  0.0562
H 1.97873 0.54805 3.19749  0.0825

***

The following is a quantum chemistry calculation of 6 unconnected molecules or ions with the total composition C24H42N6 in a non-equilibrium geometry, from the OMol25 dataset.

Its HOMO energy (alpha / beta) is -12.96 / -12.96 eV. Its total energy is -1267.66088 a.u. Its energy relative to the best compared isomer or geometry (same formula, charge and spin) is 56.9 kcal per mole. The spin multiplicity is 2. As for the net charge: +1. As for the expectation value of S²: 0.759.

Each line ends with the Löwdin charge.
Element x y z (Å)
C 2.09822 4.08452 3.49928  -0.1057
C 0.81167 4.10012 4.36476  -0.1264
C -0.50819 3.88689 3.43204  -0.0935
C -0.90319 5.02971 2.66764  -0.0956